What news about cryptocurrency can be trusted in 2024: tips for verifying information

The cryptocurrency market continues to develop rapidly, and in 2024, news about cryptocurrency is becoming more relevant. However, with an increase in the number of information sources, the risk of obtaining unreliable or manipulative data also increases. It is important to be able to distinguish reliable news from false news. In this article, we will tell you which news about cryptocurrency can be trusted, and provide useful tips for verifying information.

How to identify reliable sources of information?
Check the credibility of the source:

Well-known media and platforms: Pay attention to well-known and respected cryptocurrency news resources and media. Sites like CoinDesk, CoinTelegraph and Bloomberg Crypto are known for their reliability.
Specialized blogs and analysts: Cryptocurrency analysts and blogs with a good reputation can be a valuable source of information. Check their history and experience in the field of cryptocurrencies.
Study the history and reputation of the authors:

Professional experts: Pay attention to the professional achievements and reputation of news writers. Experts with proven experience and knowledge in the field of cryptocurrencies usually provide more reliable information.
Historical publications: Check the authors’ past publications and their reputation in the cryptocurrency community. A good specialist should have consistency and consistency in his forecasts and analyses.
Check the sources and links:

Convincing sources: Reliable news should provide links to primary sources and supporting documents. If the information is based on rumors or anonymous sources, be careful.
Cross-check: Compare the information with other sources. If several reputable media outlets report the same event, it increases the likelihood of authenticity.
How to recognize and avoid fake news?
Beware of sensational headlines:

Excessive emotionality: If the headline looks too sensational or evokes strong emotions, it may be a sign of an attempt at manipulation. Fake news often uses flashy headlines to attract attention.
Check the content: Compare the title with the content of the article. If the title does not match the content or has inaccurate details, this may be a sign of a fake.
Study the publication date and relevance:

== The entry is interrupted by records of crystals ==
********
(1)
! La23Mg4Rh7 (PBE-GGA, relaxed); values from VASP
! E_form = -413 meV per atom
! crystal system = hexagonal
! calculated total energy = -5.46 eV per atom
! total moment = 0.00 μB/cell
! space group = No. 186
&SYSTEM
  ibrav = 0, nat = 68, ntyp = 3
/
ATOMIC_SPECIES
La 138.91 La.upf
Mg 24.30 Mg.upf
Rh 102.91 Rh.upf
CELL_PARAMETERS angstrom
10.234 0.000 0.000
-5.117 8.863 0.000
0.000 0.000 23.104
ATOMIC_POSITIONS angstrom
La 0.000 0.000 2.009
La 0.000 0.000 13.561
La -1.943 4.787 0.000
La -1.925 4.797 16.861
La 0.000 2.262 10.445
La -3.158 7.732 10.445
La 0.000 3.644 7.020
La -1.961 7.041 7.020
La 0.000 3.679 20.014
La 0.000 3.683 3.172
La -1.928 7.022 3.172
La -1.931 7.024 20.014
La 0.000 3.724 13.744
La -1.892 7.001 13.744
La 1.959 1.131 21.997
La 0.000 5.909 10.167
La 3.156 1.822 18.571
La 3.186 1.839 8.462
La 3.189 1.841 14.724
La 3.225 1.862 2.192
La 1.925 4.797 16.861
La 0.000 8.132 16.861
La 1.943 4.787 0.000
La 0.000 8.152 0.000
La 5.117 0.711 11.552
La 3.174 4.076 11.552
La 5.117 0.731 5.309
La 3.192 4.066 5.309
La 1.892 7.001 13.744
La 1.928 7.022 3.172
La 1.931 7.024 20.014
La 1.961 7.041 7.020
La 5.117 2.954 21.718
La 3.158 7.732 10.445
La 7.009 1.862 2.192
La 5.117 5.139 2.192
La 7.048 1.839 8.462
La 7.045 1.841 14.724
La 5.117 5.180 14.724
La 5.117 5.184 8.462
La 7.078 1.822 18.571
La 5.117 5.219 18.571
La 8.275 1.131 21.997
La 5.117 6.601 21.997
La 7.042 4.066 5.309
La 7.060 4.076 11.552
Mg 0.000 0.000 7.748
Mg 0.000 0.000 19.300
Mg 0.000 1.877 16.705
Mg -3.492 7.925 16.705
Mg 1.625 0.938 5.153
Mg 3.492 7.925 16.705
Mg 8.609 0.938 5.153
Mg 5.117 6.986 5.153
Rh -2.251 4.609 8.641
Rh 0.000 2.543 0.533
Rh -2.915 7.592 0.533
Rh 2.202 1.271 12.085
Rh 0.000 5.909 5.087
Rh 2.251 4.609 8.641
Rh 0.000 8.508 8.641
Rh 5.117 0.355 20.193
Rh 2.866 4.254 20.193
Rh 5.117 2.954 16.639
Rh 2.915 7.592 0.533
Rh 8.032 1.271 12.085
Rh 5.117 6.320 12.085
Rh 7.368 4.254 20.193



(2)
! PrSmIn2 (PBE-GGA, relaxed); values from VASP
! E_form = -467 meV per atom
! crystal system = cubic
! calculated total energy = -4.22 eV per atom
! space group = No. 225
&SYSTEM
  ibrav = 0, nat = 4, ntyp = 3
/
ATOMIC_SPECIES
Pr 140.91 Pr.upf
Sm 150.36 Sm.upf
In 114.82 In.upf
CELL_PARAMETERS angstrom
0.000 3.940 3.940
3.940 0.000 3.940
3.940 3.940 0.000
ATOMIC_POSITIONS angstrom
Pr 0.000 0.000 0.000
Sm 3.940 3.940 3.940
In 1.970 1.970 1.970
In 5.910 5.910 5.910



(3)
! NaMg14BO15 (PBE-GGA, relaxed); values from VASP
! E_form = -2715 meV per atom
! crystal system = orthorhombic
! E above lowest polymorph = 25.4 meV/atom
! calculated total energy = -5.76 eV per atom
! total moment = 0.00 μB/cell
! space group = No. 25
&SYSTEM
  ibrav = 0, nat = 31, ntyp = 4
/
ATOMIC_SPECIES
Na 22.99 Na.upf
Mg 24.30 Mg.upf
B 10.81 B.upf
O 16.00 O.upf
CELL_PARAMETERS angstrom
4.343 0.000 0.000
0.000 8.494 0.000
0.000 0.000 8.554
ATOMIC_POSITIONS angstrom
Na 0.000 0.000 0.000
Mg 0.000 0.000 4.410
Mg 0.000 2.065 2.119
Mg 0.000 2.290 6.487
Mg 0.000 4.247 0.050
Mg 0.000 6.203 6.487
********

Old News: Sometimes old news can be served as new. Make sure that the information is up-to-date and not outdated.
Updates and changes: Stay tuned for updates and changes in the articles. Reliable sources usually update information when new facts emerge.
Analyze the author’s intentions:

Commercial interests: Check whether the source has commercial interests that may affect the objectivity of the information. Sometimes news can be published in order to promote certain projects or cryptocurrencies.
Project Support: Be attentive to news that overly praise or criticize specific cryptocurrencies or projects. This may be due to attempts to manipulate the market.
How to use social media and forums to verify information?
Assessment of the credibility of discussions:

Reputation of the participants: In forums and social media such as Reddit and Twitter, pay attention to the reputation of the participants in the discussions. Users with a good reputation and significant experience in the cryptocurrency community can provide more reliable information.
Feedback and reviews: Check out the reviews and comments of other users. This can give an idea of how reliable the information discussed in posts or comments is.
Checking information through multiple sources:

Comparing sources: Use social media to find additional confirmations. If information is discussed in several independent sources, this increases its reliability.
Opinion analysis: Compare the opinions of different experts and analysts. If several independent sources agree on certain issues, this may indicate the reliability of the information.
The role of regulators and official bodies
Follow the regulatory news:

**Attached: calculated crystals:**
<<<
[1]
First-principles (PBE) data for Er15C19 after structural relaxation, as listed in the Materials Project.

ΔH_f (0 K)	-341.4	meV per atom
total energy	-510.94	eV per cell
SG	P4/mnc
M_tot	0.10	μB/f.u.

abc: 8.0740 8.0740 15.3342
angles: 90.00 90.00 90.00
Atoms (fractional coordinates):
Er1 0.0982 0.7153 0.6498
Er2 0.9018 0.2847 0.6498
Er3 0.7847 0.4018 0.1498
Er4 0.2847 0.0982 0.3502
Er5 0.7153 0.9018 0.3502
Er6 0.4018 0.2153 0.8502
Er7 0.5982 0.7847 0.8502
Er8 0.2153 0.5982 0.1498
Er9 0.2847 0.0982 0.6498
Er10 0.7153 0.9018 0.6498
Er11 0.4018 0.2153 0.1498
Er12 0.9018 0.2847 0.3502
Er13 0.0982 0.7153 0.3502
Er14 0.2153 0.5982 0.8502
Er15 0.7847 0.4018 0.8502
Er16 0.5982 0.7847 0.1498
Er17 0.2029 0.4066 0.5000
Er18 0.7971 0.5934 0.5000
Er19 0.0934 0.2971 0.0000
Er20 0.5934 0.2029 0.5000
Er21 0.4066 0.7971 0.5000
Er22 0.2971 0.9066 0.0000
Er23 0.7029 0.0934 0.0000
Er24 0.9066 0.7029 0.0000
Er25 0.0000 0.0000 0.8308
Er26 0.0000 0.0000 0.1692
Er27 0.5000 0.5000 0.6692
Er28 0.5000 0.5000 0.3308
Er29 0.0000 0.0000 0.5000
Er30 0.5000 0.5000 0.0000
C1 0.4039 0.8031 0.6715
C2 0.5961 0.1969 0.6715
C3 0.6969 0.0961 0.1715
C4 0.1969 0.4039 0.3285
C5 0.8031 0.5961 0.3285
C6 0.0961 0.3031 0.8285
C7 0.9039 0.6969 0.8285
C8 0.3031 0.9039 0.1715
C9 0.1514 0.3486 0.7500
C10 0.8486 0.6514 0.7500
C11 0.1514 0.3486 0.2500
C12 0.6514 0.1514 0.2500
C13 0.3486 0.8486 0.2500
C14 0.3486 0.8486 0.7500
C15 0.6514 0.1514 0.7500
C16 0.8486 0.6514 0.2500
C17 0.6024 0.8025 0.0000
C18 0.1969 0.4039 0.6715
C19 0.0961 0.3031 0.1715
C20 0.5961 0.1969 0.3285
C21 0.4039 0.8031 0.3285
C22 0.3031 0.9039 0.8285
C23 0.6969 0.0961 0.8285
C24 0.9039 0.6969 0.1715
C25 0.1024 0.6975 0.5000
C26 0.8976 0.3025 0.5000
C27 0.8025 0.3976 0.0000
C28 0.3025 0.1024 0.5000
C29 0.6975 0.8976 0.5000
C30 0.3976 0.1975 0.0000
C31 0.5000 0.5000 0.5000
C32 0.0000 0.0000 0.0000
C33 0.5000 0.5000 0.1631
C34 0.5000 0.5000 0.8369
C35 0.0000 0.0000 0.3369
C36 0.0000 0.0000 0.6631
C37 0.1975 0.6024 0.0000
C38 0.8031 0.5961 0.6715

***

[2]
First-principles (PBE) data for Er4C7 after structural relaxation, as listed in the Materials Project.

ΔH_f (0 K)	-300.9	meV per atom
total energy	-172.36	eV per cell
SG	P2_1/c

abc: 13.6655 3.6774 6.4006
angles: 75.06 90.00 90.00
Atoms (fractional coordinates):
Er1 0.3382 0.9466 0.6602
Er2 0.6618 0.0534 0.3398
Er3 0.8382 0.0534 0.8398
Er4 0.1618 0.9466 0.1602
Er5 0.0548 0.6345 0.7392
Er6 0.9452 0.3655 0.2608
Er7 0.5548 0.3655 0.7608
Er8 0.4452 0.6345 0.2392
C1 0.8949 0.7375 0.5469
C2 0.1051 0.2625 0.4531
C3 0.3949 0.2625 0.9531
C4 0.6051 0.7375 0.0469
C5 0.2149 0.5373 0.9240
C6 0.7851 0.4627 0.0760
C7 0.7149 0.4627 0.5760
C8 0.2851 0.5373 0.4240
C9 0.8026 0.6205 0.5453
C10 0.1974 0.3795 0.4547
C11 0.3026 0.3795 0.9547
C12 0.6974 0.6205 0.0453
C13 0.5000 0.0000 0.5000
C14 0.0000 0.0000 0.0000


MgCu2Ni4O8: optimized geometry, PBE+U.

Properties
raw total energy = -4.9249 eV per atom
V = 451.5 Å³/cell

The structure in CIF format:
```
data_MgCu2Ni4O8
>>>

Official Statements: Regulators and official institutions often publish important information about cryptocurrencies and changes in legislation. These sources are usually reliable and up-to-date.
Legislative Updates: Study legislative updates and regulatory changes that may affect the cryptocurrency market. This will help you better navigate the latest news.
Check the official publications:

Central banks and financial institutions: Official publications and reports from central banks and financial institutions can also be a valuable source of information.
Cryptocurrency Projects: Official updates and announcements from cryptocurrency projects and their teams can help in understanding current events and trends.
In 2024, with the increasing amount of news about cryptocurrencies, it is important to be able to distinguish reliable information from false or manipulative data. Check sources, analyze authors, avoid sensational headlines, and use social media and forums to verify facts. Official publications and regulatory authorities can also be useful for obtaining reliable information. By following these tips, you will be able to navigate the world of cryptocurrencies more effectively and make informed decisions.